"The word love is not on the table yet." Jasmine sipped on her coffee and wished there was something to eat with it.
Someone pasted data records at this point.
+++
The following is a theoretical powder diffraction line list of CoPH3CO4. It was derived from the GGA+U geometry in the Materials Project, using Cu Kα, 1.54184 Å.
Kinematic intensities with the Lorentz-polarization factor, no thermal factor.

Structure:
```
40
Lattice="17.4251 0.0000 0.0000 0.0000 4.8124 0.0000 0.0000 0.0000 5.7065" Properties=species:S:1:pos:R:3 pbc="T T T"
Co 4.0730 0.6649 0.0000
Co 4.6395 3.0711 2.8533
Co 12.7855 1.7413 0.0000
Co 13.3521 4.1475 2.8533
P 2.7601 0.9603 2.8572
P 5.9524 3.3665 0.0039
P 11.4727 1.4459 2.8572
P 14.6649 3.8521 0.0039
H 0.5113 0.9938 3.7137
H 0.5551 0.9511 1.9273
H 0.9190 2.4721 2.7917
H 7.7935 0.0659 5.6450
H 8.1575 3.3573 4.7805
H 8.2012 3.4000 0.8604
H 9.2239 1.4124 3.7137
H 9.2676 1.4551 1.9273
H 9.6315 4.7465 2.7917
H 16.5061 2.3403 5.6450
H 16.8700 3.8613 4.7805
H 16.9137 3.8186 0.8604
C 1.0163 1.3832 2.8235
C 7.6962 3.7894 5.6767
C 9.7289 1.0230 2.8235
C 16.4087 3.4291 5.6767
O 2.7077 4.4082 5.6936
O 2.9464 4.2688 2.8696
O 3.4495 1.6884 4.0746
O 3.4628 1.6754 1.6398
O 5.2497 4.0815 4.4931
O 5.2630 4.0946 1.2214
O 5.7661 1.8626 0.0164
O 6.0049 2.0020 2.8403
O 11.4202 2.8104 5.6936
O 11.6589 2.9498 2.8696
O 12.1620 0.7178 4.0746
O 12.1753 0.7308 1.6398
O 13.9623 3.1370 4.4931
O 13.9756 3.1240 1.2214
O 14.4787 0.5436 0.0164
O 14.7174 0.4042 2.8403
```

The 10 most intense peaks (2θ from 5° to 70°), by angle:
2θ/deg  I_rel  h k l
10.15  100  2 0 0
18.59  5  2 0 1
21.09  7  2 1 0
24.73  7  1 1 1
26.30  7  2 1 1
28.72  4  3 1 1
31.35  7  0 0 2
31.84  9  4 1 1
39.53  5  6 1 1
39.88  5  3 1 2

----------

1.
This entry pairs a crystal structure of Li5CeCd7 with its theoretical X-ray powder pattern. Radiation: λ = 1.5418 Å (Cu Kα). Structure: a structure optimized by DFT (PBE).
Neutral-atom scattering factors, no anomalous dispersion.

Main lines, by angle (2θ = 10–80°):
d [Å]	I (rel.)
5.011	47
2.820	73
2.630	41
2.457	100
2.206	24
1.438	36

Structural model:
a = 5.2604 Å, b = 10.0201 Å, c = 10.0220 Å
α = 90.00°, β = 90.00°, γ = 90.00°
Space group Imm2 (No. 44)
Symmetry-distinct sites (fractional):
Li 0.0000 0.0000 0.0000 x2
Li 0.2481 0.2500 0.5252 x8
Ce 0.0000 0.5000 0.2721 x2
Cd 0.0000 0.0000 0.5600 x2
Cd 0.0000 0.1503 0.2706 x4
Cd 0.0000 0.2051 0.7814 x4
Cd 0.0000 0.5000 0.6174 x2
Cd 0.0000 0.5000 0.9225 x2



2.
This entry pairs a crystal structure of Li6ZnIn2 with its theoretical X-ray powder pattern. Radiation: λ = 1.5418 Å (Cu Kα). Structure: a structure optimized by DFT (PBE).
Neutral-atom scattering factors, no anomalous dispersion.

Main lines, by angle (2θ = 10–80°):
d [Å]	I (rel.)
4.011	100
2.312	86
2.005	15
1.791	18
1.636	18
1.336	23

Structural model:
a = 8.0213 Å, b = 8.0213 Å, c = 8.4801 Å
α = 90.00°, β = 90.00°, γ = 120.00°
Space group R-3m (No. 166, hexagonal axes)
Symmetry-distinct sites (fractional):
Li 0.0000 0.3329 0.0000 x18
Zn 0.0000 0.0000 0.5000 x3
In 0.0000 0.0000 0.1756 x6
+++
"What about in here?" Margo pointed at her heart.
"It might be growing in there, but I'm hiding it for now. It's too early to show it." She stood up and walked over to the fridge. "Is there anything to eat?"
"Cheese, cheese, and more cheese. The crackers are in the pantry."
"Perfect." Jasmine pulled out a tray of cheese and walked into the pantry to get the crackers.
When she returned, she put her loot on the counter and sat down. "I'm really dreading hearing your news about Lynda, but that's why I'm here, right?"
"It's a complicated story." Margo pulled a cracker out of the box. "Before meeting Rob, Lynda was engaged to a guy who broke off the engagement and joined the military. Rob knew that, and so did I, so that's not the big discovery. What we didn't know was that he had been discharged and was back in town, and Lynda had been meeting him in secret for months. So far, though, it doesn't seem like she's sleeping with him. Since we started spying on her, she's met him twice for lunch, and both times they kissed, not like friends, but like lovers."
"Then it's cheating," Jasmine said.
"Technically, it is not." Margo reached for a piece of cheese and put it on her cracker. "It looks like she still loves the guy, but she is not ready to leave Rob for him because of obvious reasons."
"What reasons?"
"Rob has a steady job and makes good money while her former fiancé is living off his partial military pension, which isn't much. He also left her once before, so she is not going to give up Rob for a guy that could disappear tomorrow."
Margo bit off a piece of the cracker.
"What are you going to do?" Jasmine asked.
"I don't know. That's what I wanted to talk to you about."
"Don't make me the bad girl who tells you that you need to tell Rob."
"Why the bad girl?"
"Because breaking up a couple is sad. And sad is bad." Jasmine took a slice of some kind of cheese she didn't recognize and put it on a cracker. "But if he were my brother, and by that I mean a real brother, not one of my evil stepbrothers, I would have to tell him even though it would break my heart."
Margo nodded, her eyes filling with tears. "It's going to destroy Rob."
Reaching over, Jasmine took Margo's hand in hers. "I know it's hard, but he needs to know the truth and decide for himself. There is also the small detail of him being a Dormant and deserving an immortal mate."
What comes next are calculated crystals, not part of the page:
........
# Mn3Fe8N8
Calculated powder X-ray diffraction pattern, Cu Kα (λ = 1.5418 Å). Input: a GGA-PBE-relaxed structure.

Crystal structure
Cell lengths 14.6654, 3.6921, 8.5909 Å; angles 90.00, 124.41, 90.00 degrees
Space group C2/m (No. 12)
Symmetry-distinct sites (fractional):
Mn (0.0000, 0.0000, 0.0000) [2 per cell]
Mn (0.2084, 0.5000, 0.7499) [4 per cell]
Fe (0.0557, 0.5000, 0.2963) [4 per cell]
Fe (0.0573, 0.0000, 0.6751) [4 per cell]
Fe (0.1461, 0.5000, 0.0348) [4 per cell]
Fe (0.1743, 0.0000, 0.5168) [4 per cell]
N (0.0558, 0.0000, 0.2632) [4 per cell]
N (0.0961, 0.5000, 0.7805) [4 per cell]
N (0.1520, 0.0000, 0.0624) [4 per cell]
N (0.2058, 0.5000, 0.5381) [4 per cell]

Peak list (8 most intense, 2θ = 10–90°, by angle)
(hkl)	two_theta	I (rel.)
4 0 -2	25.7	31.4
2 0 -3	31.9	52.4
6 0 -2	36.8	43.6
5 1 -2	39.5	68.9
3 1 1	39.7	100.0
3 1 -3	39.8	51.2
0 2 0	49.4	73.2
8 0 -5	59.0	25.5

---

# MnIn2Se2S2
Calculated powder X-ray diffraction pattern, Cu Kα (λ = 1.5418 Å). Input: a GGA-PBE-relaxed structure.

Crystal structure
Cell lengths 4.0552, 4.0552, 40.7935 Å; angles 90.00, 90.00, 120.00 degrees
Space group R3m (No. 160, hexagonal axes)
Symmetry-distinct sites (fractional):
Mn (0.0000, 0.0000, 0.0000) [3 per cell]
In (0.0000, 0.0000, 0.2330) [3 per cell]
In (0.0000, 0.0000, 0.4628) [3 per cell]
Se (0.0000, 0.0000, 0.5268) [3 per cell]
Se (0.0000, 0.0000, 0.9341) [3 per cell]
S (0.0000, 0.0000, 0.1048) [3 per cell]
S (0.0000, 0.0000, 0.3446) [3 per cell]

Peak list (8 most intense, 2θ = 10–90°, by angle)
(hkl)	two_theta	I (rel.)
0 0 9	19.6	61.4
1 0 1	25.5	37.5
0 1 2	25.7	51.6
1 0 4	26.8	100.0
1 0 10	33.7	40.0
1 0 13	38.5	59.6
1 1 0	44.7	90.1
0 1 17	45.8	72.7

---

# KRbFe4S6
Calculated powder X-ray diffraction pattern, Cu Kα (λ = 1.5418 Å). Input: a GGA-PBE-relaxed structure.

Crystal structure
Cell lengths 5.1776, 8.9776, 11.2427 Å; angles 90.00, 90.00, 90.00 degrees
Space group Amm2 (No. 38)
Symmetry-distinct sites (fractional):
K (0.0000, 0.0000, 0.0000) [2 per cell]
Rb (0.5000, 0.0000, 0.3411) [2 per cell]
Fe (0.2502, 0.1418, 0.6701) [8 per cell]
S (0.0000, 0.0000, 0.5620) [2 per cell]
S (0.0000, 0.2270, 0.2778) [4 per cell]
S (0.5000, 0.0000, 0.7785) [2 per cell]
S (0.5000, 0.2238, 0.0640) [4 per cell]

Peak list (8 most intense, 2θ = 10–90°, by angle)
(hkl)	two_theta	I (rel.)
0 1 1	12.6	86.1
0 0 2	15.8	71.0
0 1 3	25.8	58.3
1 2 2	30.8	100.0
2 1 1	37.0	21.6
2 0 4	47.8	33.4
0 4 4	52.2	21.8
2 4 0	54.1	29.4

---

# Ti2ZnP2O8
Calculated powder X-ray diffraction pattern, Cu Kα (λ = 1.5418 Å). Input: a GGA-PBE-relaxed structure.

Crystal structure
Cell lengths 17.0200, 5.1445, 16.7721 Å; angles 90.00, 116.93, 90.00 degrees
Space group C2/c (No. 15)
Symmetry-distinct sites (fractional):
Ti (0.0000, 0.1846, 0.2500) [4 per cell]
Ti (0.0876, 0.2003, 0.4569) [8 per cell]
Ti (0.2500, 0.2500, 0.0000) [4 per cell]
Zn (0.1737, 0.1850, 0.1643) [8 per cell]
P (0.0118, 0.2803, 0.6169) [8 per cell]
P (0.2237, 0.2335, 0.3689) [8 per cell]
........
Margo's eyes widened. "I totally forgot about that, and it's the most important thing." She closed her eyes for a moment. "I wish I could get him to visit the village and see all the gorgeous single ladies that would fight over each other to get him."
"How do you know that? You've never been to the village."
"That's what Gabi and Ella say. I wish they could find a way for Negal, Aru, and Dagor to be in the village without endangering everyone."
Margo had explained something about that, but Jasmine didn't remember what it was. "Why do they endanger the village?"
"They have trackers in them, so their superiors know where they are and where they have been. If they stay in one place for too long, it will be suspicious. But that's not the main problem. The village and the existence of the immortals on Earth must stay hidden, and the people on Anumati, who might wish the clan ill, must never find out about it and them."
### Attached: data records
[1]
# HgRhAu
Computed powder diffraction line list, Cu Kα (weighted mean of Kα1 and Kα2). Input: a structure optimized by DFT (PBE).
Peak positions follow from Bragg's law for the DFT cell and can differ from measured ones.

Structural model:
Unit cell a=4.4613 b=4.4613 c=4.4613 alpha=60.00 beta=60.00 gamma=60.00
Positions (direct):
Hg: 0.0000 0.0000 0.0000
Rh: 0.2500 0.2500 0.2500
Au: 0.5000 0.5000 0.5000

Principal peaks in the range 10 to 90 degrees two-theta, sorted by position:
d_spacing	two_theta	I_rel
3.155	28.29	43
2.231	40.44	100
1.821	50.08	12
1.577	58.52	17
1.411	66.25	17
1.288	73.54	35


[2]
# SrPm2Ho
Computed powder diffraction line list, Cu Kα (weighted mean of Kα1 and Kα2). Input: a structure optimized by DFT (PBE).
Peak positions follow from Bragg's law for the DFT cell and can differ from measured ones.

Structural model:
Unit cell a=4.0945 b=4.0945 c=9.1635 alpha=90.00 beta=90.00 gamma=90.00
Positions (direct):
Sr: 0.0000 0.0000 0.0000
Pm: 0.5000 0.5000 0.2945
Pm: 0.5000 0.5000 0.7055
Ho: 0.0000 0.0000 0.5000

Principal peaks in the range 10 to 90 degrees two-theta, sorted by position:
d_spacing	two_theta	I_rel
3.053	29.25	100
2.895	30.89	50
2.448	36.71	18
2.047	44.24	19
1.700	53.92	37
1.103	88.73	13


[3]
# Li2TiPt
Computed powder diffraction line list, Cu Kα (weighted mean of Kα1 and Kα2). Input: a structure optimized by DFT (PBE).
Peak positions follow from Bragg's law for the DFT cell and can differ from measured ones.

Structural model:
Unit cell a=10.1505 b=10.1505 c=10.1505 alpha=159.26 beta=159.26 gamma=29.50
Positions (direct):
Li: 0.0991 0.6250 0.9741
Li: 0.3750 0.3491 0.4741
Li: 0.6509 0.1250 0.0259
Li: 0.8750 0.9009 0.5259
Ti: 0.2500 0.7500 0.5000
Ti: 0.5000 0.5000 0.0000
Pt: 0.0000 0.0000 0.0000
Pt: 0.7500 0.2500 0.5000

Principal peaks in the range 10 to 90 degrees two-theta, sorted by position:
d_spacing	two_theta	I_rel
4.908	18.07	100
3.593	24.78	37
3.191	27.96	27
2.499	35.94	79
2.028	44.69	43
1.712	53.51	27


[4]
# Pm2Cd3Ag3
Computed powder diffraction line list, Cu Kα (weighted mean of Kα1 and Kα2). Input: a structure optimized by DFT (PBE).
Peak positions follow from Bragg's law for the DFT cell and can differ from measured ones.

Structural model:
Unit cell a=8.7221 b=8.7221 c=8.7221 alpha=33.74 beta=33.74 gamma=33.74
Positions (direct):
Pm: 0.0000 0.0000 0.0000
Pm: 0.4951 0.4951 0.4951
Cd: 0.2488 0.2488 0.2488
Cd: 0.7462 0.7462 0.7462
Cd: 0.8732 0.8732 0.8732
Ag: 0.1252 0.1252 0.1252
Ag: 0.3703 0.3703 0.3703
Ag: 0.6218 0.6218 0.6218

Principal peaks in the range 10 to 90 degrees two-theta, sorted by position:
d_spacing	two_theta	I_rel
2.531	35.47	100
2.521	35.61	98
1.786	51.14	34
1.460	63.74	51
1.454	64.05	16
1.131	85.94	15


[5]
# YBeMo2
Computed powder diffraction line list, Cu Kα (weighted mean of Kα1 and Kα2). Input: a structure optimized by DFT (PBE).
Peak positions follow from Bragg's law for the DFT cell and can differ from measured ones.

Structural model:
"You mean the evil Eternal King."
"Yeah. That dude."
"There must be a solution. I'll think of something."
Margo smiled condescendingly. "If there was, don't you think that all these smart people would have come up with it already?"
Jasmine shrugged. "Sometimes it takes someone who is removed from the problem to see the solution. They are also trying to figure out how to hide the twins' survival from the Eternal King, and I'm trying to come up with a good idea."
"Well, good luck." Margo lowered her head and rested her chin on her fist. "If you can find a solution for my predicament, I would be not only grateful but would also never doubt your genius mind again."